8 Things About My Sucky Job That I’m Grateful For Right Now
Whether you love your job or hate your job, you can definitely be thankful for it.
I know for me, the easiest thing to “blame” for any unhappiness is work. I deal with the same stuff any of you do — annoying coworkers, early wake-ups, long hours, surprise meetings, unfair blame, frustrating bosses, red tape, boredom, etc. When I’m spending 10 of my 15 awake hours either getting ready for work, driving to work or working, it becomes a pretty easy scapegoat for any dissatisfaction in my life.
It’s so easy to think, “Wow, my life would be so much easier if I just made $10,000 more.” Or, “If I didn’t have to wake up so early or commute so long, I would be in a good mood every day!” But the truth is, the only thing we know and can cherish is what is happening to us right now. Our lives might not actually be any better if we get that raise or wake up an hour later. It’s shown over and over that whether something amazing happens to you or something horrible happens to you — all people tend to retreat to the same baseline level of happiness.
The easiest way to just be happy with your situation is find gratitude for your job right now. You can totally strive for bigger and better things while appreciating your current life instead of wishing every day away. I’m 24 and have tons of things going my way — and it’s time I start appreciating it. Here are eight underrated things about my sucky job I’m grateful for right now:
1. I have a job.
I am employed. I don’t know about you, but if I wasn’t employed, I would feel bitter AF. First of all, for practical reasons, I am so thankful to have a job to be able to fund my lifestyle and not live on the streets. Even though rent is literally the most annoying thing to be spending $1,000 every month on, I am thankful that I have the ability to put a roof over my own head. I can also feed myself, clothe myself, and have access to things like electricity, clean running water, and heat. This is more than so much of the world can say.
For less noble reasons, I am happy to have a job for self-esteem purposes. I loved my senior year of college telling everyone I already had a job lined up — with a higher-than-average starting salary in the field of my dreams. Even if each hour of each day doesn’t have “meaning” or “purpose,” at the end of the day, I still have a job in the first place.
2. I am being paid.
Like I said above, I am beyond thankful to be able to afford all the basics in my life like food, clothing and shelter. I am also thankful to have an abundance of money. In addition to paying for just paying for shelter, I have paid off $31,000 of student loans in just a little over a year, gone to Europe and L.A., begun investing, and still have some extra spending money.
3. I am interacting socially with people every day.
Besides gratitude, another really, really important part of happiness is our relationships and community. Even if you think you hate social interactions (meeeee) and/or everyone at work, we literally need them to survive. Healthy, happy relationships are one of the most important things we can do for our health. It’s been proven that we pretty much just need one really close personal relationship and a couple of other casual relationships to be happy and beat loneliness.
_Someone pasted materials data at this point_
<<<
First-principles (PBE-GGA) data for a geometry-optimized Sr2HfO4 structure, as listed in Materials Project.

Cell: 5.8379 5.8379 12.6747 Å, 90.00 90.00 90.00°
Space group P4_2/ncm (No. 138, origin choice 2)
Symmetry-distinct sites (fractional):
Sr  0.0136  0.0136  0.1483 (multiplicity 8)
Hf  0.0000  0.0000  0.5000 (multiplicity 4)
O  0.0373  0.0373  0.6632 (multiplicity 8)
O  0.2500  0.2500  0.4788 (multiplicity 4)
O  0.2500  0.7500  0.0000 (multiplicity 4)



First-principles (PBE-GGA) data for a geometry-optimized LiTi2P4H3O16 structure, as listed in Materials Project.

Cell: 5.0217 7.4269 8.0682 Å, 90.19 92.35 102.26°
Space group P1 (No. 1)
Symmetry-distinct sites (fractional):
Li  0.0000  0.0000  0.0000 (multiplicity 1)
Ti  0.1007  0.1554  0.3839 (multiplicity 1)
Ti  0.5915  0.6352  0.8806 (multiplicity 1)
P  0.2139  0.9032  0.7227 (multiplicity 1)
P  0.5032  0.9006  0.2110 (multiplicity 1)
P  0.7074  0.4000  0.5440 (multiplicity 1)
P  0.9952  0.3859  0.0318 (multiplicity 1)
H  0.0140  0.5793  0.4318 (multiplicity 1)
H  0.2028  0.7229  0.3294 (multiplicity 1)
H  0.5453  0.1249  0.8591 (multiplicity 1)
O  0.0737  0.3339  0.2129 (multiplicity 1)
O  0.1487  0.9660  0.5457 (multiplicity 1)
O  0.2636  0.4938  0.9527 (multiplicity 1)
O  0.2687  0.0060  0.2004 (multiplicity 1)
O  0.3432  0.0797  0.8321 (multiplicity 1)
O  0.3875  0.7134  0.3039 (multiplicity 1)
O  0.4110  0.7706  0.7146 (multiplicity 1)
O  0.4536  0.2973  0.4465 (multiplicity 1)
O  0.5984  0.8464  0.0432 (multiplicity 1)
O  0.6369  0.4554  0.7162 (multiplicity 1)
O  0.7529  0.0079  0.3111 (multiplicity 1)
O  0.8073  0.5269  0.0417 (multiplicity 1)
O  0.8255  0.5863  0.4501 (multiplicity 1)
O  0.8632  0.2123  0.9361 (multiplicity 1)
O  0.9331  0.2876  0.5466 (multiplicity 1)
O  0.9553  0.8167  0.8138 (multiplicity 1)



First-principles (PBE-GGA) data for a geometry-optimized Na4Al11Si13Ag7O48 structure, as listed in Materials Project.

Cell: 12.0867 12.4552 12.7928 Å, 90.17 91.26 90.04°
Space group P1 (No. 1)
Symmetry-distinct sites (fractional):
Na  0.0000  0.0000  0.0000 (multiplicity 1)
Na  0.0247  0.7903  0.9966 (multiplicity 1)
Na  0.2095  0.1969  0.2109 (multiplicity 1)
Na  0.4651  0.3982  0.0310 (multiplicity 1)
Al  0.0152  0.2118  0.0435 (multiplicity 1)
Al  0.0151  0.5799  0.0403 (multiplicity 1)
Al  0.0165  0.7662  0.2442 (multiplicity 1)
Al  0.0191  0.5845  0.7925 (multiplicity 1)
Al  0.0210  0.0238  0.2442 (multiplicity 1)
Al  0.0242  0.2070  0.7962 (multiplicity 1)
Al  0.2183  0.3967  0.0455 (multiplicity 1)
Al  0.2243  0.3971  0.8030 (multiplicity 1)
Al  0.3783  0.3933  0.2656 (multiplicity 1)
Al  0.6554  0.3977  0.2517 (multiplicity 1)
Al  0.8095  0.3928  0.0370 (multiplicity 1)
Si  0.0221  0.7681  0.6042 (multiplicity 1)
Si  0.0230  0.0218  0.6038 (multiplicity 1)
Si  0.2072  0.7672  0.4326 (multiplicity 1)
Si  0.2086  0.0228  0.4320 (multiplicity 1)
Si  0.3893  0.2097  0.4309 (multiplicity 1)
Si  0.3894  0.5811  0.4306 (multiplicity 1)
>>>
People that work from home often report their number-one work complaint is loneliness. I think working from home sounds like a dream life, but everyone says spending every single day all alone in your house really starts to get to you after a while. So even though I hope to have a home business one day, I am appreciating all the different people I get to see and talk to for now.
4. I have perks at my job that other people don’t have — and you probably do, too.
It’s a common complaint at my work that we don’t get free Goldfish. It seems silly once I typed it out, but people get legitimately heated about this topic (including me!). But instead of focusing on the fact that I don’t have Goldfish for free, I really try to focus on the bonus perks I do have at my work that other people don’t, like:
- Free pretzels, chips, coffee, tea, and sometimes catered food
- Three weeks vacation plus six personal days plus thirteen company holidays
- A parking lot with free parking (this one is very easy to take for granted!)
- A flexible schedule – I am able to work 7 AM – 4PM instead of 8AM – 5PM
5. Contrast creates beauty.
Christmas wouldn’t be so special if every day were Christmas! You can’t have flowers without rainy days. The sun is only appreciated in contrast to gloomy, rainy days. Summer feels good because we have sucky winter. Traveling is exciting in contrast to your humble abode and routine life. Guys, you need shitty days to make the good ones feel good. You wouldn’t know there’s “good” days if every single day was good. So if you don’t love your job, it will only magnify the things you do love even more. Use the stuff you don’t like to appreciate the stuff you DO like.
Is there one guy in a different department who you hate? Well thank the lord every day he’s not your boss! Do you have to wake up at 5 AM every day? Well now 6:30 feels like a juicy indulgence on the weekends, while other people are complaining about it! I know there’s probably some stuff that really sucks, but it’s all about perception. Try to be thankful for as much in your life as possible.
6. The problems my company has are probably the same exact problems other companies have.
It can seem like the grass is always greener elsewhere, but guess what — it’s not. The truth is, many companies face the same exact problems. That’s why The Office and Dilbert comics are so popular. So many people can relate to certain office misery. Everyone has an annoying coworker. Everyone can relate to awkwardly socializing at the water cooler.
To be honest, the problems you think are bad at your company might be worse elsewhere. It’s like in Game of Thrones, where if you lived in King’s Landing and you hate Cersei, and think nothing can be worse than her, so you travel North to escape. But now you have White Walkers and Ice Dragons. It can always be worse.
Data records, as found in the file:
-- begin --
P | This record from Materials Project describes Nd5Si3 after structural relaxation. The functional is PBE.

Geometry as CIF:
```
data_Nd5Si3
_cell_length_a 7.823
_cell_length_b 7.823
_cell_length_c 13.918
_cell_angle_alpha 90.00
_cell_angle_beta 90.00
_cell_angle_gamma 90.00
_space_group_name_H-M_alt 'I 4/m c m'
_space_group_IT_number 140
_space_group_name_Hall '-I 4 2c'
loop_
_atom_site_label
_atom_site_type_symbol
_atom_site_fract_x
_atom_site_fract_y
_atom_site_fract_z
Nd1 Nd 0.000 0.000 0.000
Nd2 Nd 0.178 0.322 0.146
Si1 Si 0.000 0.000 0.250
Si2 Si 0.115 0.385 0.500
```



Q | This record from Materials Project describes Nd5Si3 after structural relaxation. The functional is PBE.

Geometry as CIF:
```
data_Nd5Si3
_cell_length_a 8.7926
_cell_length_b 8.7926
_cell_length_c 6.6653
_cell_angle_alpha 90.00
_cell_angle_beta 90.00
_cell_angle_gamma 120.00
_space_group_name_H-M_alt 'P 63/m c m'
_space_group_IT_number 193
_space_group_name_Hall '-P 6c 2'
loop_
_atom_site_label
_atom_site_type_symbol
_atom_site_fract_x
_atom_site_fract_y
_atom_site_fract_z
Nd1 Nd 0.0000 0.2446 0.2500
Nd2 Nd 0.3333 0.6667 0.0000
Si1 Si 0.0000 0.3939 0.7500
```



The structure with the least stability is Q.



P | This record from Materials Project describes Nd3Sm after structural relaxation. The functional is PBE.

Geometry as CIF:
```
data_Nd3Sm
_cell_length_a 7.3515
_cell_length_b 7.3515
_cell_length_c 6.0525
_cell_angle_alpha 90.00
_cell_angle_beta 90.00
_cell_angle_gamma 120.00
_space_group_name_H-M_alt 'P 63/m m c'
_space_group_IT_number 194
_space_group_name_Hall '-P 6c 2c'
loop_
_atom_site_label
_atom_site_type_symbol
_atom_site_fract_x
_atom_site_fract_y
_atom_site_fract_z
Nd1 Nd 0.1668 0.3336 0.2500
Sm1 Sm 0.3333 0.6667 0.7500
```



Q | This record from Materials Project describes Nd3Sm after structural relaxation. The functional is PBE.

Geometry as CIF:
```
data_Nd3Sm
_cell_length_a 5.191
_cell_length_b 5.191
_cell_length_c 5.191
_cell_angle_alpha 90.00
_cell_angle_beta 90.00
_cell_angle_gamma 90.00
_space_group_name_H-M_alt 'P m -3 m'
_space_group_IT_number 221
_space_group_name_Hall '-P 4 2 3'
loop_
_atom_site_label
_atom_site_type_symbol
_atom_site_fract_x
_atom_site_fract_y
_atom_site_fract_z
Nd1 Nd 0.000 0.000 0.500
Sm1 Sm 0.500 0.500 0.500
```



The structure with the least stability is P.



P | This record from Materials Project describes NdTm3 after structural relaxation. The functional is PBE.

Geometry as CIF:
```
data_NdTm3
_cell_length_a 5.000
_cell_length_b 5.000
_cell_length_c 5.000
_cell_angle_alpha 90.00
_cell_angle_beta 90.00
_cell_angle_gamma 90.00
_space_group_name_H-M_alt 'P m -3 m'
_space_group_IT_number 221
_space_group_name_Hall '-P 4 2 3'
loop_
_atom_site_label
_atom_site_type_symbol
_atom_site_fract_x
_atom_site_fract_y
_atom_site_fract_z
Nd1 Nd 0.000 0.000 0.000
Tm1 Tm 0.000 0.500 0.500
```



Q | This record from Materials Project describes NdTm3 after structural relaxation. The functional is PBE.

Geometry as CIF:
```
-- stop --
Here the piece continues:
7. Realize all that I do and be thankful for myself.
Unfortunately, bosses don’t have the reputation of being really excellent appreciators of their employees. This is really misguided of them. The most important thing, even more than bonuses or raises, to increase productivity and satisfaction at the office is giving employees proper recognition for their work. But guess what — thank your freaking self for what you do! You don’t need your boss’ stamp of approval to recognize all that you put in. I constantly have to remind myself I didn’t sign up for this job to be thanked. I have pride in my own self and a sense of accomplishment of my own work. Whether an outsider recognizes my work or not, I know inside the work was still done to the best of my ability. And on another note, just because your boss doesn’t say anything doesn’t mean she didn’t notice it.
8. I am learning new skills and bettering myself every day.
There are some days where I feel like I am learning NO new skills. I do research in a lab, which often times is really cool — but sometimes it just gets really repetitive, like when I have a lot of samples to run through the same exact test over and over. But even though I may feel like I’m not learning anything new, that’s not true. I’m getting better at learning the nuances of the test and increasing my efficiency and understanding. On days I get bored, I’m also learning patience, focus, and diligence. I’m learning how to stay positive — which is the most important skill any of us can ever learn. You are increasing your value every single day. Take a moment for gratitude.
Every single minute of every single day can’t be perfect. If it were, you would still feel unsatisfied that you’re now stuck in a repetitive, boring rut of perfect days. It’s okay to take a moment of gratitude for all that you have while still striving for more.
I’m thankful for my current salary while still striving for a raise. I’m thankful for when the company does feed me even though I still hope for Goldfish. I appreciate myself and the work I know I’ve done even though I still hope for the head of department’s “Good work, Kelsey.” At the end of the day, my life could be a LOT worse. There’s tons of awesome things about my job and my life in general — and I refuse to let the tiny things that could be better get in the way of my happiness!
Kelsey is a 24-year-old business owner, home cook, craft beer enthusiast, and chemical engineer. She runs a personal finance/personal happiness blog for 20somethings called On My Way to Happiness.
Image via Pexels